Sexual Harassment May Be The Only Thing Party Leaders Can Agree On

Welcome to Pollapalooza, our weekly polling roundup. Today’s theme song: “Making Our Dreams Come True” from the television show “Laverne & Shirley.”

Poll of the week

A new YouGov survey shows that Democrats are far more likely than Republicans to believe that sexual harassment is a serious problem in the United States. As on many issues, the bases of the two parties are far apart. Unlike on many issues, however, elected officials in the parties seem to be more aligned.

YouGov found that:

  • 64 percent of U.S. adults who are Democrats believe sexual harassment is a very serious problem; only 37 percent of Republicans said the same.
  • Democrats, at 41 percent, were also more likely than Republicans, 34 percent, to believe that sexual harassment was a major problem in Congress, where the two major congressional figures most recently accused of sexual misconduct were Democrats. (The split was even larger among Hillary Clinton voters and Donald Trump voters, at 49 to 35 percent.)
  • Likewise, more Democrats believe their party has problems with sexual harassment than Republicans believe the GOP does. A plurality of Democrats (30 percent) said the Democratic Party has a “very serious” problem with sexual harassment, while only 15 percent of Republicans said the GOP does.
  • Two-thirds (67 percent) of Democrats and 74 percent of Clinton voters said the Democratic Party had at least a “somewhat serious” problem with sexual harassment. Just 50 percent of Republicans and 47 percent of Trump voters felt that way about the Republican Party.

The partisan gap on this issue may come down to cultural differences between the parties about gender generally. It may reflect sentiments about President Trump, who has been accused of sexual assault by numerous women. That is, Republicans may simply be less likely to believe sexual harassment charges because they think their party leader was falsely accused. Or maybe some respondents are simply viewing the questions through a partisan lens because of Trump, and taking sexual harassment seriously is the “Democratic answer.” It could be all of the above.

Here’s the thing, though: The party bases are split, but Republican and Democratic leaders in Congress seem largely on the same page.

The GOP, including House Speaker Paul Ryan and Senate Majority Leader Mitch McConnell, didn’t seem particularly eager to call on either Democratic Rep. John Conyers or Sen. Al Franken to resign after allegations (and an admission in Franken’s case) of sexual misconduct.5 Ryan did say Thursday that Conyers should step down — 10 days after the initial allegations.

Despite their party’s heightened opinions on sexual harassment, Democratic officials seem to be reacting to the allegations in much the same why as their Republican counterparts. Democratic leadership has not called on Franken to resign, and it took 10 days for House Minority Leader Nancy Pelosi to ask Conyers to step down, same as Ryan. Initially, Pelosi called Conyers an “icon” and said he deserved the benefit of a congressional investigation.

Democrats seem to still be sorting this issue out, and there is the potential for conflict within the party in the next few months. That may be part of the reason why a number of rank-and-file Democratic members felt comfortable in calling on Conyers to resign earlier than leadership did.

• Between two parts of the piece: records of crystals:
+++
A plane-wave DFT calculation with GGA-PBE was carried out for crystalline CaBe2Al at its relaxed geometry.

a = 2.827 Å, b = 3.627 Å, c = 6.405 Å
α = 90.00°, β = 96.30°, γ = 90.00°
Fractional coordinates of all 4 atoms:
Ca (0.000, 0.000, 0.000)
Be (0.474, 0.500, 0.673)
Be (0.526, 0.500, 0.327)
Al (0.000, 0.000, 0.500)

Summary:
Uncorrected energy = -3.01 eV/atom
Size of the total moment = 0.00 μB per formula unit
V = 16.32 A^3/atom

***

A plane-wave DFT calculation with GGA-PBE was carried out for crystalline CoW3 at its relaxed geometry.

a = 5.520 Å, b = 5.520 Å, c = 9.013 Å
α = 90.00°, β = 90.00°, γ = 120.00°
Fractional coordinates of all 16 atoms:
Co (0.000, 0.000, 0.000)
Co (0.000, 0.000, 0.500)
Co (0.333, 0.667, 0.250)
Co (0.667, 0.333, 0.750)
W (0.000, 0.500, 0.000)
W (0.000, 0.500, 0.500)
W (0.166, 0.332, 0.750)
W (0.166, 0.834, 0.750)
W (0.332, 0.166, 0.250)
W (0.500, 0.000, 0.000)
W (0.500, 0.000, 0.500)
W (0.500, 0.500, 0.000)
W (0.500, 0.500, 0.500)
W (0.668, 0.834, 0.750)
W (0.834, 0.166, 0.250)
W (0.834, 0.668, 0.250)

Summary:
Size of the total moment = 0.00 μB per formula unit
V = 14.86 A^3/atom
Energy above the most stable polymorph in this dataset = 195.8 meV/atom

***

A plane-wave DFT calculation with GGA-PBE was carried out for crystalline MgTaH at its relaxed geometry.

a = 2.932 Å, b = 4.925 Å, c = 5.770 Å
α = 90.00°, β = 97.83°, γ = 90.00°
Fractional coordinates of all 6 atoms:
Mg (0.000, 0.000, 0.000)
Mg (0.238, 0.500, 0.777)
Ta (0.508, 0.000, 0.516)
Ta (0.768, 0.500, 0.296)
H (0.281, 0.247, 0.271)
H (0.281, 0.753, 0.271)

Summary:
Size of the total moment = 0.00 μB per formula unit
V = 13.76 A^3/atom
Energy above the most stable polymorph in this dataset = 91.2 meV/atom

***

A plane-wave DFT calculation with GGA-PBE was carried out for crystalline Tb2In9Pb at its relaxed geometry.

a = 4.679 Å, b = 4.679 Å, c = 14.362 Å
α = 90.00°, β = 90.00°, γ = 90.00°
Fractional coordinates of all 12 atoms:
Tb (0.000, 0.000, 0.161)
Tb (0.000, 0.000, 0.839)
In (0.000, 0.500, 0.000)
In (0.000, 0.500, 0.327)
In (0.000, 0.500, 0.673)
In (0.500, 0.000, 0.000)
In (0.500, 0.000, 0.327)
In (0.500, 0.000, 0.673)
In (0.500, 0.500, 0.162)
In (0.500, 0.500, 0.500)
In (0.500, 0.500, 0.838)
Pb (0.000, 0.000, 0.500)

Summary:
Uncorrected energy = -3.37 eV/atom
Size of the total moment = 0.00 μB per formula unit
V = 26.21 A^3/atom

***

A plane-wave DFT calculation with GGA-PBE was carried out for crystalline AlTlMo at its relaxed geometry.

a = 7.123 Å, b = 7.123 Å, c = 7.123 Å
α = 156.39°, β = 156.39°, γ = 33.64°
Fractional coordinates of all 3 atoms:
Al (0.000, 0.000, 0.000)
Tl (0.307, 0.307, 0.000)
Mo (0.632, 0.632, 0.000)

Summary:
Size of the total moment = 0.00 μB per formula unit
V = 19.31 A^3/atom
Energy above the most stable polymorph in this dataset = 53.9 meV/atom

***

A plane-wave DFT calculation with GGA-PBE was carried out for crystalline CdSnPd2 at its relaxed geometry.

a = 4.649 Å, b = 4.649 Å, c = 3.317 Å
+++

Other polling nuggets

  • As the GOP tax reform bill gets closer to a vote in the Senate, an Ipsos poll found that opposition to it is climbing, from 41 percent in October to 49 percent in November. Support for the bill was at only 29 percent. Other polls have showed the bill similarly unpopular.
  • As I noted on Wednesday, three surveys conducted this week in the Alabama special Senate election from Change Research, Emerson College and JMC Analytics show Republican Roy Moore ahead of Democrat Doug Jones. The surveys have Moore up by 5, 6 and 5 percentage points, respectively.
  • 48 percent of Americans said military force against countries that have threatened but not attacked the U.S. is rarely (28 percent) or never (20 percent) justified, according to a Pew Research Center survey. That’s the highest combined share Pew has found since at least 2003.
  • American approval of the Affordable Care Act (also known as Obamacare) has dipped in the latest Gallup survey, from 55 percent in April to 50 percent now.
  • A slim majority of voters, 52 percent, supported net neutrality in a Morning Consult survey after being told it was “a set of rules adopted by the Federal Communications Commission (FCC) which say Internet Service Providers (ISPs) such as Comcast, Time Warner, AT&T, and Verizon, cannot block, throttle or prioritize certain content on the Internet.” Only 19 percent were opposed.
  • Fewer adults (31 percent) were born-again Christians in an average of American Culture & Faith Institute surveys in 2017 than at any point since at least 1991. Note, though, that the American Culture & Faith Institute classifies born-against Christians “based not on self-report by survey respondents but on their theological perspective about sin and salvation.”
  • The vast majority of millennials, 71 percent, said that America needs a third political party, according to a University of Chicago poll. That may seem impressive, but it’s only a little bit higher than the 61 percent of all adults who said the same thing in a September Gallup survey.
  • 57 percent of LGBTQ Americans told the Harvard T.H. Chan School of Public Health that they “have personally experienced slurs about their sexual orientation or gender identity.”
  • Democrat Keisha Lance Bottoms leads independent Mary Norwood 42 percent to 39 percent ahead of the Dec. 5 Atlanta mayoral runoff, according to an Opinion Savvy survey.
  • Millennials are the least likely age group to say a woman should take a man’s last name after getting married, according to a YouGov survey. Just 47 percent of Millennials chose “woman takes the man’s last name” vs. “woman and man keep original name” or “take whichever last name sounds better.” A majority of those aged 35 to 54 (59 percent) and those aged 55 and older (64 percent) said the woman should take the man’s last name.

Trump’s job approval rating

Trump’s job approval rating stayed steady this week at 38.2 percent. Same with his disapproval rating at 55.8 percent. Last Wednesday, Trump’s approval rating was 38.2 percent and his disapproval rating was 56 percent.

The generic ballot

Democrats are ahead of Republicans by a 45.9 percent to 38.1 percent margin on the generic congressional ballot. That’s not much different from last Wednesday, when Democrats held a 46.8 percent to 38.8 percent advantage.